• File:
A structure of composition C41H51CaCl2N4O12P2S2. Source: the OMol25 dataset; level of theory: wB97M-V/def2-TZVPD.

Each line ends with the Löwdin charge.
Geometry (Å):
Ca 1.130 -0.167 0.804  1.237
C -4.404 5.935 -0.964  -0.061
C -3.067 5.303 -0.680  -0.285
C -2.895 3.923 -0.776  -0.042
C -1.676 3.329 -0.490  -0.038
C -0.603 4.126 -0.107  -0.257
C -0.756 5.499 -0.004  -0.051
C -1.984 6.080 -0.292  -0.047
S 0.985 3.372 0.222  0.575
O 1.820 4.447 0.712  -0.322
O 1.399 2.745 -1.009  -0.310
N 0.678 2.229 1.279  -0.201
C 0.221 2.567 2.538  -0.267
C 0.266 3.807 3.152  -0.024
C -0.264 4.017 4.439  -0.086
C -0.844 3.013 5.156  -0.071
C -0.902 1.720 4.584  -0.177
C -1.484 0.621 5.258  -0.025
C -1.508 -0.608 4.670  -0.050
C -0.922 -0.752 3.397  -0.170
N -0.367 0.243 2.749  0.034
C -0.363 1.488 3.301  -0.170
H -5.041 5.266 -1.541  0.069
H -4.289 6.865 -1.524  0.073
H -4.928 6.175 -0.036  0.079
H -3.734 3.305 -1.077  0.096
H -1.541 2.259 -0.568  0.095
H 0.092 6.098 0.298  0.109
H -2.101 7.155 -0.212  0.109
H 0.729 4.630 2.630  0.089
H -0.199 5.013 4.863  0.100
H -1.252 3.180 6.145  0.099
H -1.901 0.775 6.247  0.112
H -1.939 -1.468 5.164  0.102
H -0.874 -1.722 2.914  0.061
C -2.034 1.986 -4.973  -0.033
C -1.607 0.559 -4.696  -0.440
C -2.617 -0.455 -5.199  -0.038
O -1.486 0.444 -3.261  -0.183
P -0.336 -0.317 -2.477  0.471
O -0.149 0.328 -1.170  -0.339
C -0.869 -2.034 -2.268  -0.191
P -1.558 -2.207 -0.598  0.467
O -0.523 -1.965 0.416  -0.365
O -2.284 -3.609 -0.566  -0.177
C -1.700 -4.948 -0.486  -0.401
C -1.714 -5.549 -1.877  -0.047
C -0.328 -4.960 0.148  -0.052
O -2.766 -1.205 -0.482  -0.157
C -3.970 -1.236 -1.283  -0.440
C -5.054 -1.981 -0.530  -0.039
C -4.331 0.207 -1.559  -0.041
O 0.915 -0.388 -3.413  -0.178
C 2.102 0.497 -3.180  -0.398
C 3.328 -0.346 -3.416  -0.036
C 1.974 1.674 -4.114  -0.038
H -2.095 2.159 -6.049  0.085
H -1.327 2.691 -4.540  0.082
H -3.013 2.175 -4.530  0.085
H -0.626 0.371 -5.139  0.130
H -3.579 -0.299 -4.707  0.081
H -2.292 -1.480 -5.021  0.071
H -2.756 -0.332 -6.274  0.085
H 0.022 -2.666 -2.295  0.071
H -1.570 -2.360 -3.036  0.064
H -2.406 -5.487 0.149  0.142
H -0.998 -5.039 -2.525  0.076
H -2.706 -5.481 -2.325  0.080
H -1.426 -6.599 -1.824  0.086
H 0.404 -4.471 -0.496  0.054
H -0.011 -5.995 0.290  0.102
H -0.306 -4.450 1.110  0.077
H -3.746 -1.750 -2.226  0.131
H -5.240 -1.486 0.424  0.092
H -4.759 -3.011 -0.337  0.071
H -5.977 -1.978 -1.112  0.084
H -4.530 0.723 -0.618  0.091
H -5.226 0.256 -2.183  0.087
H -3.512 0.715 -2.067  0.059
H 2.062 0.829 -2.143  0.084
H 3.335 -0.744 -4.434  0.083
H 3.387 -1.151 -2.691  0.044
H 4.213 0.272 -3.259  0.096
H 1.964 1.345 -5.157  0.083
H 2.824 2.339 -3.963  0.097
H 1.066 2.243 -3.906  0.073
C 2.383 0.237 4.988  0.003
C 3.241 0.644 3.845  -0.348
N 2.978 0.461 2.573  0.110
C 4.070 0.925 1.876  -0.110
C 5.002 1.409 2.756  -0.080
N 4.453 1.225 4.000  0.176
C 6.349 2.019 2.649  -0.505
O 6.841 2.159 1.445  0.111
O 6.935 2.350 3.663  0.061
C 4.142 0.795 0.385  -0.558
O 5.173 1.209 -0.194  0.028
O 3.156 0.251 -0.163  -0.179
H 1.464 -0.204 4.611  0.048
H 2.139 1.091 5.623  0.084
H 2.888 -0.521 5.590  0.086
H 4.927 1.481 4.850  0.164
H 6.180 1.794 0.731  0.058
Cl 2.646 -2.822 -0.495  0.726
C 2.769 -4.238 0.525  -0.671
C 3.266 -5.375 -0.088  -0.151
C 3.378 -6.554 0.630  -0.119
C 2.983 -6.557 1.962  -0.151
C 2.496 -5.405 2.546  -0.696
Cl 2.012 -5.523 4.216  0.609
C 2.359 -4.167 1.874  -0.791
S 1.730 -2.755 2.630  0.539
H 3.562 -5.326 -1.128  0.093
H 3.769 -7.449 0.165  0.090
H 3.052 -7.456 2.559  0.091

Results
Net charge: -1
LUMO energy: 1.78 eV
HOMO: -4.337 eV
2S+1: 1

* * * * *

[1]
A molecular structure, C39H66Cl2CoGe2N2O6S3Si. Source: the Open Molecules 2025 dataset; level of theory: ωB97M-V with the def2-TZVPD basis set.

Element x y z (Å)
Co1 1.31 0.25 0.05
O1 4.92 -1.71 -2.13
C1 5.84 -0.75 -1.87
C2 7.13 -0.93 -2.38
C3 8.11 0.01 -2.12
C4 7.81 1.15 -1.38
C5 6.54 1.33 -0.89
C6 5.53 0.39 -1.11
C7 4.17 0.55 -0.49
O2 3.25 -0.35 -0.72
N1 4.02 1.57 0.28
N2 2.81 1.54 0.99

• Wanted:
What is needed: echo all of the notes above without altering anything.

• Outcome:
A structure of composition C41H51CaCl2N4O12P2S2. Source: the OMol25 dataset; level of theory: wB97M-V/def2-TZVPD.

Each line ends with the Löwdin charge.
Geometry (Å):
Ca 1.130 -0.167 0.804  1.237
C -4.404 5.935 -0.964  -0.061
C -3.067 5.303 -0.680  -0.285
C -2.895 3.923 -0.776  -0.042
C -1.676 3.329 -0.490  -0.038
C -0.603 4.126 -0.107  -0.257
C -0.756 5.499 -0.004  -0.051
C -1.984 6.080 -0.292  -0.047
S 0.985 3.372 0.222  0.575
O 1.820 4.447 0.712  -0.322
O 1.399 2.745 -1.009  -0.310
N 0.678 2.229 1.279  -0.201
C 0.221 2.567 2.538  -0.267
C 0.266 3.807 3.152  -0.024
C -0.264 4.017 4.439  -0.086
C -0.844 3.013 5.156  -0.071
C -0.902 1.720 4.584  -0.177
C -1.484 0.621 5.258  -0.025
C -1.508 -0.608 4.670  -0.050
C -0.922 -0.752 3.397  -0.170
N -0.367 0.243 2.749  0.034
C -0.363 1.488 3.301  -0.170
H -5.041 5.266 -1.541  0.069
H -4.289 6.865 -1.524  0.073
H -4.928 6.175 -0.036  0.079
H -3.734 3.305 -1.077  0.096
H -1.541 2.259 -0.568  0.095
H 0.092 6.098 0.298  0.109
H -2.101 7.155 -0.212  0.109
H 0.729 4.630 2.630  0.089
H -0.199 5.013 4.863  0.100
H -1.252 3.180 6.145  0.099
H -1.901 0.775 6.247  0.112
H -1.939 -1.468 5.164  0.102
H -0.874 -1.722 2.914  0.061
C -2.034 1.986 -4.973  -0.033
C -1.607 0.559 -4.696  -0.440
C -2.617 -0.455 -5.199  -0.038
O -1.486 0.444 -3.261  -0.183
P -0.336 -0.317 -2.477  0.471
O -0.149 0.328 -1.170  -0.339
C -0.869 -2.034 -2.268  -0.191
P -1.558 -2.207 -0.598  0.467
O -0.523 -1.965 0.416  -0.365
O -2.284 -3.609 -0.566  -0.177
C -1.700 -4.948 -0.486  -0.401
C -1.714 -5.549 -1.877  -0.047
C -0.328 -4.960 0.148  -0.052
O -2.766 -1.205 -0.482  -0.157
C -3.970 -1.236 -1.283  -0.440
C -5.054 -1.981 -0.530  -0.039
C -4.331 0.207 -1.559  -0.041
O 0.915 -0.388 -3.413  -0.178
C 2.102 0.497 -3.180  -0.398
C 3.328 -0.346 -3.416  -0.036
C 1.974 1.674 -4.114  -0.038
H -2.095 2.159 -6.049  0.085
H -1.327 2.691 -4.540  0.082
H -3.013 2.175 -4.530  0.085
H -0.626 0.371 -5.139  0.130
H -3.579 -0.299 -4.707  0.081
H -2.292 -1.480 -5.021  0.071
H -2.756 -0.332 -6.274  0.085
H 0.022 -2.666 -2.295  0.071
H -1.570 -2.360 -3.036  0.064
H -2.406 -5.487 0.149  0.142
H -0.998 -5.039 -2.525  0.076
H -2.706 -5.481 -2.325  0.080
H -1.426 -6.599 -1.824  0.086
H 0.404 -4.471 -0.496  0.054
H -0.011 -5.995 0.290  0.102
H -0.306 -4.450 1.110  0.077
H -3.746 -1.750 -2.226  0.131
H -5.240 -1.486 0.424  0.092
H -4.759 -3.011 -0.337  0.071
H -5.977 -1.978 -1.112  0.084
H -4.530 0.723 -0.618  0.091
H -5.226 0.256 -2.183  0.087
H -3.512 0.715 -2.067  0.059
H 2.062 0.829 -2.143  0.084
H 3.335 -0.744 -4.434  0.083
H 3.387 -1.151 -2.691  0.044
H 4.213 0.272 -3.259  0.096
H 1.964 1.345 -5.157  0.083
H 2.824 2.339 -3.963  0.097
H 1.066 2.243 -3.906  0.073
C 2.383 0.237 4.988  0.003
C 3.241 0.644 3.845  -0.348
N 2.978 0.461 2.573  0.110
C 4.070 0.925 1.876  -0.110
C 5.002 1.409 2.756  -0.080
N 4.453 1.225 4.000  0.176
C 6.349 2.019 2.649  -0.505
O 6.841 2.159 1.445  0.111
O 6.935 2.350 3.663  0.061
C 4.142 0.795 0.385  -0.558
O 5.173 1.209 -0.194  0.028
O 3.156 0.251 -0.163  -0.179
H 1.464 -0.204 4.611  0.048
H 2.139 1.091 5.623  0.084
H 2.888 -0.521 5.590  0.086
H 4.927 1.481 4.850  0.164
H 6.180 1.794 0.731  0.058
Cl 2.646 -2.822 -0.495  0.726
C 2.769 -4.238 0.525  -0.671
C 3.266 -5.375 -0.088  -0.151
C 3.378 -6.554 0.630  -0.119
C 2.983 -6.557 1.962  -0.151
C 2.496 -5.405 2.546  -0.696
Cl 2.012 -5.523 4.216  0.609
C 2.359 -4.167 1.874  -0.791
S 1.730 -2.755 2.630  0.539
H 3.562 -5.326 -1.128  0.093
H 3.769 -7.449 0.165  0.090
H 3.052 -7.456 2.559  0.091

Results
Net charge: -1
LUMO energy: 1.78 eV
HOMO: -4.337 eV
2S+1: 1

* * * * *

[1]
A molecular structure, C39H66Cl2CoGe2N2O6S3Si. Source: the Open Molecules 2025 dataset; level of theory: ωB97M-V with the def2-TZVPD basis set.

Element x y z (Å)
Co1 1.31 0.25 0.05
O1 4.92 -1.71 -2.13
C1 5.84 -0.75 -1.87
C2 7.13 -0.93 -2.38
C3 8.11 0.01 -2.12
C4 7.81 1.15 -1.38
C5 6.54 1.33 -0.89
C6 5.53 0.39 -1.11
C7 4.17 0.55 -0.49
O2 3.25 -0.35 -0.72
N1 4.02 1.57 0.28
N2 2.81 1.54 0.99